**Job**
Please filter the block below: keep the lines with the word "Rb".

**File**
┌──
The following is a computed X-ray powder pattern of ErFe6Ge12. It was derived from the GGA-PBE geometry in Alexandria, using copper Kα.
Neutral-atom scattering factors, no anomalous dispersion.

The 10 most intense peaks (2θ = 5–70°), sorted by position:
| Position (°2θ) | Rel. int. |
| --- | --- |
| 20.84 | 11 |
| 33.23 | 11 |
| 36.51 | 21 |
| 39.55 | 100 |
| 42.41 | 15 |
| 45.12 | 15 |
| 54.91 | 15 |
| 63.64 | 12 |
| 65.72 | 10 |
| 67.76 | 24 |

Cell and atoms:
```
data_ErFe6Ge12
_cell_length_a 8.525
_cell_length_b 8.525
_cell_length_c 8.525
_cell_angle_alpha 90.00
_cell_angle_beta 90.00
_cell_angle_gamma 90.00
_space_group_name_H-M_alt 'I m -3'
_space_group_IT_number 204
_space_group_name_Hall '-I 2 2 3'
loop_
_atom_site_label
_atom_site_fract_x
_atom_site_fract_y
_atom_site_fract_z
Er1 0.000 0.000 0.000
Fe1 0.000 0.144 0.500
Ge1 0.000 0.291 0.177
```

=====

Record 1
Rb4P2PdSe8: computed X-ray powder pattern (copper Kα), based on a cell relaxed with GGA-PBE.
Peak positions follow from Bragg's law for the DFT cell and can differ from measured ones.

Principal peaks in the range 2θ from 10° to 90°, in order of rising 2θ:
| 2θ (°) | Rel. int. | h k l |
| --- | --- | --- |
| 14.67 | 26.9 | 1 0 1 |
| 25.43 | 97.7 | 0 2 1 |
| 25.83 | 77.9 | 2 0 0 |
| 27.32 | 100.0 | 0 0 3 |
| 30.56 | 29.7 | 2 1 -1 |
| 30.62 | 30.3 | 0 2 -2 |
| 30.96 | 43.0 | 1 2 2 |
| 32.87 | 28.4 | 1 -2 2 |
| 35.20 | 39.8 | 2 0 3 |
| 39.72 | 31.4 | 2 -2 2 |
| 40.52 | 32.2 | 2 0 -3 |
| 56.34 | 29.7 | 1 4 3 |

abc: 6.976 7.439 9.893
angles: 87.97 82.14 86.53
Positions (direct):
Rb 0.221 0.164 0.361
Rb 0.246 0.722 0.979
Rb 0.754 0.278 0.021
Rb 0.779 0.836 0.639
P 0.328 0.233 0.758
P 0.672 0.767 0.242
Pd 0.500 0.500 0.500
Se 0.183 0.462 0.644
Se 0.260 0.244 0.982
Se 0.275 0.970 0.682
Se 0.365 0.687 0.320
Se 0.635 0.313 0.680
Se 0.725 0.030 0.318
Se 0.740 0.756 0.018
Se 0.817 0.538 0.356

Record 2
CsPd2F6: computed X-ray powder pattern (copper Kα), based on a cell relaxed with GGA-PBE.
Peak positions follow from Bragg's law for the DFT cell and can differ from measured ones.

Principal peaks in the range 2θ from 10° to 90°, in order of rising 2θ:
| 2θ (°) | Rel. int. | h k l |
| --- | --- | --- |
| 24.51 | 33.3 | 1 1 2 |
| 27.86 | 100.0 | 1 2 1 |
| 28.24 | 18.0 | 2 1 0 |
| 28.62 | 37.5 | 0 1 3 |
| 28.98 | 41.9 | 0 2 2 |
| 29.19 | 46.7 | 1 0 3 |
| 29.58 | 42.3 | 2 1 1 |
| 31.18 | 18.7 | 2 0 2 |
| 44.07 | 30.0 | 0 3 3 |
| 47.08 | 23.6 | 0 4 0 |
| 50.25 | 41.2 | 2 2 4 |
| 57.54 | 18.3 | 2 4 2 |

abc: 6.928 7.720 10.229
angles: 90.00 90.00 90.00
Positions (direct):
Cs 0.021 0.250 0.127
Cs 0.479 0.750 0.627
Cs 0.521 0.250 0.373
Cs 0.979 0.750 0.873
Pd 0.000 0.000 0.500
Pd 0.000 0.500 0.500
Pd 0.166 0.250 0.754
Pd 0.334 0.750 0.254
Pd 0.500 0.000 0.000
Pd 0.500 0.500 0.000
Pd 0.666 0.250 0.746
Pd 0.834 0.750 0.246
F 0.087 0.750 0.155
F 0.093 0.250 0.474
F 0.130 0.515 0.672
F 0.130 0.985 0.672
F 0.250 0.065 0.912
F 0.250 0.435 0.912
F 0.250 0.565 0.412
F 0.250 0.935 0.412
F 0.370 0.015 0.172
F 0.370 0.485 0.172
F 0.407 0.750 0.974
F 0.413 0.250 0.655
F 0.587 0.750 0.345
F 0.593 0.250 0.026
F 0.630 0.515 0.828
F 0.630 0.985 0.828
F 0.750 0.065 0.588
F 0.750 0.435 0.588
F 0.750 0.565 0.088
F 0.750 0.935 0.088
F 0.870 0.015 0.328
F 0.870 0.485 0.328
F 0.907 0.750 0.526
F 0.913 0.250 0.845
└──

**Done**
Rb 0.221 0.164 0.361
Rb 0.246 0.722 0.979
Rb 0.754 0.278 0.021
Rb 0.779 0.836 0.639